### File
- - -
Density functional theory data (PBE) for crystalline LiB11 at its relaxed geometry.

Cell lengths 5.1863, 5.1863, 5.1863 Å; angles 128.38, 128.38, 76.00 degrees
Closest atoms and distances in Å follow each position.
Sites, in units of the cell vectors:
1 B 0.1696 0.9199 0.7503  4 B 1.79-1.96
2 B 0.3013 0.3013 0.6026  7 B 1.79-1.96
3 B 0.3013 0.6987 0.0000  7 B 1.79-1.96
4 B 0.0801 0.8304 0.2497  4 B 1.79-1.96
5 B 0.6987 0.6987 0.3974  7 B 1.79-1.96
6 B 0.6599 0.6599 0.0000  6 B 1.79-1.82
7 Li 0.7500 0.2500 0.5000  20 B 2.37-2.61
8 B 0.1696 0.4193 0.2497  4 B 1.79-1.96
9 B 0.6987 0.3013 0.0000  7 B 1.79-1.96
10 B 0.0000 0.0000 0.0000  8 B 1.79-1.92
11 B 0.5807 0.8304 0.7503  4 B 1.79-1.96
12 B 0.3401 0.3401 0.0000  6 B 1.79-1.82

Computed properties:
ΔH_f (0 K): 752 meV/atom
magnetic moment: 0.0 μB/cell
energy above the most stable polymorph in this dataset: 622 meV per atom

=====

Density functional theory data (PBE) for crystalline H6PbCI3N at its relaxed geometry.

Cell lengths 8.5567, 9.2505, 12.9636 Å; angles 90.00, 90.00, 90.00 degrees
Closest atoms and distances in Å follow each position.
Sites, in units of the cell vectors:
1 H 0.3402 0.0503 0.7500  1 C 1.10
2 I 0.1839 0.3072 0.0221  1 H 2.71
3 H 0.1619 0.5786 0.7500  1 N 1.04
4 H 0.5052 0.1201 0.8192  1 C 1.09
5 I 0.0377 0.9874 0.2500  1 H 2.70
6 H 0.4943 0.1430 0.1854  1 N 1.04
7 N 0.4596 0.0849 0.2500  3 H 1.04
8 N 0.0404 0.5849 0.7500  3 H 1.04
9 I 0.4623 0.4874 0.7500  1 H 2.70
10 Pb 0.5000 0.5000 0.5000  6 I 3.25-3.26
11 H 0.0052 0.3799 0.8192  1 C 1.09
12 I 0.5377 0.5126 0.2500  1 H 2.70
13 H 0.4948 0.8799 0.3192  1 C 1.09
14 H 0.3381 0.0786 0.2500  1 N 1.04
15 H 0.0057 0.6430 0.8146  1 N 1.04
16 N 0.5404 0.9151 0.7500  3 H 1.04
17 I 0.8161 0.6928 0.9779  1 H 2.71
18 Pb 0.0000 0.0000 0.5000  6 I 3.25-3.26
19 Pb 0.5000 0.5000 0.0000  6 I 3.25-3.26
20 H 0.0052 0.3799 0.6808  1 C 1.09
21 I 0.3161 0.8072 0.9779  1 H 2.71
22 H 0.5057 0.8570 0.8146  1 N 1.04
23 C 0.0324 0.5622 0.2500  3 H 1.09-1.10
24 H 0.4948 0.8799 0.1808  1 C 1.09
25 C 0.9676 0.4378 0.7500  3 H 1.09-1.10
26 H 0.1598 0.5503 0.2500  1 C 1.10
27 H 0.0057 0.6430 0.6854  1 N 1.04
28 I 0.6839 0.1928 0.0221  1 H 2.71
29 H 0.4943 0.1430 0.3146  1 N 1.04
30 H 0.9943 0.3570 0.1854  1 N 1.04
31 H 0.9948 0.6201 0.1808  1 C 1.09
32 C 0.5324 0.9378 0.2500  3 H 1.09-1.10
33 H 0.9948 0.6201 0.3192  1 C 1.09
34 I 0.8161 0.6928 0.5221  1 H 2.71
35 H 0.5052 0.1201 0.6808  1 C 1.09
36 I 0.6839 0.1928 0.4779  1 H 2.71
37 H 0.9943 0.3570 0.3146  1 N 1.04
38 Pb 0.0000 0.0000 0.0000  6 I 3.25-3.26
39 I 0.3161 0.8072 0.5221  1 H 2.71
40 H 0.8402 0.4497 0.7500  1 C 1.10
41 I 0.9623 0.0126 0.7500  1 H 2.70
42 H 0.5057 0.8570 0.6854  1 N 1.04
43 H 0.8381 0.4214 0.2500  1 N 1.04
44 H 0.6598 0.9497 0.2500  1 C 1.10
45 C 0.4676 0.0622 0.7500  3 H 1.09-1.10
46 I 0.1839 0.3072 0.4779  1 H 2.71
47 N 0.9596 0.4151 0.2500  3 H 1.04
48 H 0.6619 0.9214 0.7500  1 N 1.04

Computed properties:
ΔH_f (0 K): -435 meV/atom
magnetic moment: 0.0 μB/cell
MP2020-corrected energy: -4.286 eV per atom
energy above the most stable polymorph in this dataset: 0 meV per atom

=====

Density functional theory data (PBE) for crystalline BaLaI5 at its relaxed geometry.

Cell lengths 11.6592, 14.8524, 21.4883 Å; angles 46.64, 90.00, 90.00 degrees
Closest atoms and distances in Å follow each position.
Sites, in units of the cell vectors:
1 La 0.2653 0.7758 0.8431  6 I 3.10-3.34
2 Ba 0.7106 0.3492 0.8576  6 I 3.53-3.84
3 I 0.7687 0.4539 0.6399  1 La 3.17
4 I 0.4049 0.2797 0.8593  1 La 3.19
5 La 0.2347 0.7758 0.3431  6 I 3.10-3.34
6 I 0.0951 0.2797 0.3593  1 La 3.19
7 La 0.6996 0.7979 0.6936  6 I 3.06-3.20
8 I 0.1167 0.9085 0.6808  1 La 3.10
9 I 0.7423 0.5610 0.8810  1 La 3.06
10 I 0.5951 0.7203 0.1407  1 La 3.19
11 I 0.9604 0.2634 0.5360  1 La 3.19
12 I 0.2977 0.0702 0.7475  2 La 3.19-3.34
13 I 0.7023 0.9298 0.2525  2 La 3.19-3.34
14 I 0.6922 0.0351 0.4973  1 La 3.13
15 I 0.5651 0.2606 0.5452  1 La 3.12
16 Ba 0.2685 0.1918 0.5326  8 I 3.55-3.87
- - -

### Exercise
Could you print all of the lines further up word for word?

### Reply
Density functional theory data (PBE) for crystalline LiB11 at its relaxed geometry.

Cell lengths 5.1863, 5.1863, 5.1863 Å; angles 128.38, 128.38, 76.00 degrees
Closest atoms and distances in Å follow each position.
Sites, in units of the cell vectors:
1 B 0.1696 0.9199 0.7503  4 B 1.79-1.96
2 B 0.3013 0.3013 0.6026  7 B 1.79-1.96
3 B 0.3013 0.6987 0.0000  7 B 1.79-1.96
4 B 0.0801 0.8304 0.2497  4 B 1.79-1.96
5 B 0.6987 0.6987 0.3974  7 B 1.79-1.96
6 B 0.6599 0.6599 0.0000  6 B 1.79-1.82
7 Li 0.7500 0.2500 0.5000  20 B 2.37-2.61
8 B 0.1696 0.4193 0.2497  4 B 1.79-1.96
9 B 0.6987 0.3013 0.0000  7 B 1.79-1.96
10 B 0.0000 0.0000 0.0000  8 B 1.79-1.92
11 B 0.5807 0.8304 0.7503  4 B 1.79-1.96
12 B 0.3401 0.3401 0.0000  6 B 1.79-1.82

Computed properties:
ΔH_f (0 K): 752 meV/atom
magnetic moment: 0.0 μB/cell
energy above the most stable polymorph in this dataset: 622 meV per atom

=====

Density functional theory data (PBE) for crystalline H6PbCI3N at its relaxed geometry.

Cell lengths 8.5567, 9.2505, 12.9636 Å; angles 90.00, 90.00, 90.00 degrees
Closest atoms and distances in Å follow each position.
Sites, in units of the cell vectors:
1 H 0.3402 0.0503 0.7500  1 C 1.10
2 I 0.1839 0.3072 0.0221  1 H 2.71
3 H 0.1619 0.5786 0.7500  1 N 1.04
4 H 0.5052 0.1201 0.8192  1 C 1.09
5 I 0.0377 0.9874 0.2500  1 H 2.70
6 H 0.4943 0.1430 0.1854  1 N 1.04
7 N 0.4596 0.0849 0.2500  3 H 1.04
8 N 0.0404 0.5849 0.7500  3 H 1.04
9 I 0.4623 0.4874 0.7500  1 H 2.70
10 Pb 0.5000 0.5000 0.5000  6 I 3.25-3.26
11 H 0.0052 0.3799 0.8192  1 C 1.09
12 I 0.5377 0.5126 0.2500  1 H 2.70
13 H 0.4948 0.8799 0.3192  1 C 1.09
14 H 0.3381 0.0786 0.2500  1 N 1.04
15 H 0.0057 0.6430 0.8146  1 N 1.04
16 N 0.5404 0.9151 0.7500  3 H 1.04
17 I 0.8161 0.6928 0.9779  1 H 2.71
18 Pb 0.0000 0.0000 0.5000  6 I 3.25-3.26
19 Pb 0.5000 0.5000 0.0000  6 I 3.25-3.26
20 H 0.0052 0.3799 0.6808  1 C 1.09
21 I 0.3161 0.8072 0.9779  1 H 2.71
22 H 0.5057 0.8570 0.8146  1 N 1.04
23 C 0.0324 0.5622 0.2500  3 H 1.09-1.10
24 H 0.4948 0.8799 0.1808  1 C 1.09
25 C 0.9676 0.4378 0.7500  3 H 1.09-1.10
26 H 0.1598 0.5503 0.2500  1 C 1.10
27 H 0.0057 0.6430 0.6854  1 N 1.04
28 I 0.6839 0.1928 0.0221  1 H 2.71
29 H 0.4943 0.1430 0.3146  1 N 1.04
30 H 0.9943 0.3570 0.1854  1 N 1.04
31 H 0.9948 0.6201 0.1808  1 C 1.09
32 C 0.5324 0.9378 0.2500  3 H 1.09-1.10
33 H 0.9948 0.6201 0.3192  1 C 1.09
34 I 0.8161 0.6928 0.5221  1 H 2.71
35 H 0.5052 0.1201 0.6808  1 C 1.09
36 I 0.6839 0.1928 0.4779  1 H 2.71
37 H 0.9943 0.3570 0.3146  1 N 1.04
38 Pb 0.0000 0.0000 0.0000  6 I 3.25-3.26
39 I 0.3161 0.8072 0.5221  1 H 2.71
40 H 0.8402 0.4497 0.7500  1 C 1.10
41 I 0.9623 0.0126 0.7500  1 H 2.70
42 H 0.5057 0.8570 0.6854  1 N 1.04
43 H 0.8381 0.4214 0.2500  1 N 1.04
44 H 0.6598 0.9497 0.2500  1 C 1.10
45 C 0.4676 0.0622 0.7500  3 H 1.09-1.10
46 I 0.1839 0.3072 0.4779  1 H 2.71
47 N 0.9596 0.4151 0.2500  3 H 1.04
48 H 0.6619 0.9214 0.7500  1 N 1.04

Computed properties:
ΔH_f (0 K): -435 meV/atom
magnetic moment: 0.0 μB/cell
MP2020-corrected energy: -4.286 eV per atom
energy above the most stable polymorph in this dataset: 0 meV per atom

=====

Density functional theory data (PBE) for crystalline BaLaI5 at its relaxed geometry.

Cell lengths 11.6592, 14.8524, 21.4883 Å; angles 46.64, 90.00, 90.00 degrees
Closest atoms and distances in Å follow each position.
Sites, in units of the cell vectors:
1 La 0.2653 0.7758 0.8431  6 I 3.10-3.34
2 Ba 0.7106 0.3492 0.8576  6 I 3.53-3.84
3 I 0.7687 0.4539 0.6399  1 La 3.17
4 I 0.4049 0.2797 0.8593  1 La 3.19
5 La 0.2347 0.7758 0.3431  6 I 3.10-3.34
6 I 0.0951 0.2797 0.3593  1 La 3.19
7 La 0.6996 0.7979 0.6936  6 I 3.06-3.20
8 I 0.1167 0.9085 0.6808  1 La 3.10
9 I 0.7423 0.5610 0.8810  1 La 3.06
10 I 0.5951 0.7203 0.1407  1 La 3.19
11 I 0.9604 0.2634 0.5360  1 La 3.19
12 I 0.2977 0.0702 0.7475  2 La 3.19-3.34
13 I 0.7023 0.9298 0.2525  2 La 3.19-3.34
14 I 0.6922 0.0351 0.4973  1 La 3.13
15 I 0.5651 0.2606 0.5452  1 La 3.12
16 Ba 0.2685 0.1918 0.5326  8 I 3.55-3.87